Thursday, August 13, 2009

My Hairstylist Knows A Lot Of My Business

I ran into a former hairstylist who did my hair for many years and it was great catching up.

As we sat at an area bar talking, it felt like we hadn’t skipped a day of talking. I would say it’s been about a year since we have actually talked.

At that time, I was still married so my life was much different. In our previous conversations, I’m not sure what we talked about. Probably nothing.

But our recent conversation was gooooood, real gooood, and it reminded me of the importance of a hairstylist.

Whew! They know all your business.

**These quantum chemistry results were left in the page by mistake**
********
(1)
Molecular formula: C3H6FNO2
Method: DFT, ωB97M-V/def2-TZVPD

Orbital gap (spin up / spin down)   9.61 / 8.17 eV
Relative energy (zero: lowest compared OMol25 entry of this formula, charge and spin)   148.22 kcal per mole
Lowest unoccupied orbital energy (spin up / spin down)   0.35 / -0.44 eV
E_tot   -11504.866 eV

The geometry in ORCA input format:
```
! RIJCOSX wB97M-V def2-TZVPD def2/J DEFGRID3
* xyz 0 1
C 0.6571 0.7440 1.1996
C 0.4025 -0.6822 0.5712
C -0.9332 -0.8920 -0.1362
N -0.5322 0.6861 -1.9823
O -1.4204 1.1293 -2.5777
O 0.6532 0.7104 -1.8968
F -1.0092 -2.1748 -0.5295
H 0.6929 1.4527 0.4187
H 1.6956 0.6932 1.6064
H -0.1516 1.0488 2.0674
H 1.1141 -0.8424 -0.3234
H 0.5668 -1.4694 1.2779
H -1.7357 -0.4039 0.3049
*
```

Partial atomic charges computed with the Mulliken method, in multiples of e:
1. C -0.938
2. C -0.435
3. C -0.191
4. N 0.735
5. O -0.478
6. O -0.424
7. F -0.257
8. H 0.327
9. H 0.275
10. H 0.264
11. H 0.238
12. H 0.449
13. H 0.434



(2)
Molecular formula: C17H7BrF5IIrN2O4S
Method: DFT, ωB97M-V/def2-TZVPD

Orbital gap (spin up / spin down)   6.49 / 6.06 eV
<S²>   0.773
Relative energy (zero: lowest compared OMol25 entry of this formula, charge and spin)   19.98 kcal per mole
Lowest unoccupied orbital energy (spin up / spin down)   -9.04 / -9.78 eV
E_tot   -134298.727 eV

The geometry in ORCA input format:
```
! RIJCOSX wB97M-V def2-TZVPD def2/J DEFGRID3
* xyz 2 2
Ir 0.3830 -0.2151 0.0847
O -0.2496 5.5920 -0.1053
C -0.6056 5.0126 -1.2435
O -0.9616 5.6175 -2.2085
C -0.5693 3.5080 -1.3105
C -0.9972 2.8195 -2.4374
N -0.8404 1.5075 -2.2126
N -0.3287 1.3047 -0.9868
C -0.1689 2.5112 -0.4310
C 0.4006 2.4825 0.9509
O 0.5644 3.4369 1.6405
O 0.7537 1.2189 1.3353
H 0.0384 4.9629 0.5801
H -1.3995 3.2083 -3.3608
H -1.1006 0.7387 -2.8118
F -6.3486 -0.9632 2.4271
C -5.1696 -1.1182 1.9079
C -4.3118 -0.0101 1.8091
F -4.7191 1.1593 2.2467
C -3.0666 -0.1656 1.2664
F -2.2740 0.8986 1.2033
C -2.6135 -1.4191 0.7890
S -1.1310 -1.8487 0.0775
C -3.5149 -2.5183 0.9161
F -3.1259 -3.7032 0.4951
C -4.7667 -2.3768 1.4597
F -5.5807 -3.4001 1.5676
Br 1.7888 -1.7010 1.5302
C 3.3059 -2.0828 0.4305
C 4.4251 -2.5600 1.0873
C 5.5517 -2.8686 0.3372
C 5.5541 -2.6951 -1.0384
C 4.4261 -2.2172 -1.6911
C 3.3026 -1.9163 -0.9389
I 1.6175 -1.2622 -1.9878
H 4.4266 -2.6834 2.1623
H 6.4320 -3.2441 0.8404
H 6.4382 -2.9278 -1.6156
H 4.4352 -2.0822 -2.7649
*
```

Partial atomic charges computed with the Mulliken method, in multiples of e:
1. Ir 1.011
2. O -0.473
3. C 0.518
4. O -0.498
5. C 0.310
6. C -0.474
7. N -0.326
8. N 0.055
9. C -0.149
10. C 1.063
11. O -0.606
12. O -0.627
13. H 0.375
14. H 0.567
15. H 0.175
16. F -0.208
17. C 0.739
18. C -0.300
19. F -0.234
20. C 0.109
21. F -0.086
22. C 0.548
23. S -0.028
24. C 0.181
25. F -0.251
26. C 0.152
27. F -0.216
28. Br 0.108
29. C 0.872
30. C -0.668
31. C -0.595
32. C -0.644
33. C -0.607
34. C 0.377
35. I 0.258
36. H 0.395
37. H 0.413
38. H 0.409
39. H 0.357


[1]
********

We started talking about me and what’s new. And wow, there is a lot that is new with me.

Ummm, everything is new.

I’m divorced.

I have been blessed with a peace I’ve never known.

I’m feeling foxy roxy cause I have been working out and I have a new body, body. Heck, I'm just excited about living, loving and laughing.

And I have a new guy in my life.

Sooooo where do I start?

She also had new stuff too. She has a new home, a fairly recent addition to her family and a happy marriage.

Our conversation topics jumped from one thing to the next so quickly that it really reminded me of when I used to sit in her chair for my weekly hair do and therapy session.

Misplaced records of molecules
Molecular formula: C4H3N3O
Method: DFT, ωB97M-V/def2-TZVPD

Output
E_HOMO, eV: -8.984
SMILES: c1n[nH]c2conc12
Energy, eV: -10711.1828
Energy relative to the best compared isomer or geometry (same formula, charge and spin), kcal per mole: 56.91

Last column: natural (NBO) charge in e.
Atoms and positions in Å:
1 C 1.521 0.113 -0.796  -0.050
2 N 1.509 -1.121 -0.441  -0.192
3 N 0.399 -1.372 0.308  -0.385
4 C -0.462 -0.313 0.271  -0.011
5 C -1.582 0.309 0.662  0.068
6 O -1.473 1.607 0.321  -0.240
7 N -0.325 1.882 -0.310  -0.092
8 C 0.288 0.717 -0.379  0.039
9 H 2.463 0.489 -1.245  0.232
10 H 0.133 -2.398 0.394  0.411
11 H -2.470 0.088 1.214  0.219
The text goes on

And yea, it was therapy.

On my drive home, I thought about the comfort in which I felt sharing the new details of my new life. I thought about how much she really knew about it me, and whew it blew my mind.

She knows a lot.

Any who.

She did my hair for several years before I was married. She did my hair for me on my wedding day. She did my hair a few years into my marriage. I’m not sure when she stopped doing my hair actually.

While driving, I kept thinking that there has never been anyone else who has done my hair who I have confided in as much as her. Yea, I chop it up a bit but this girl knows some stuff, whew, she knows some stuff about my relationships.

At a women's ministry meeting at my church, a female pastor talked about what intimacy truly means. The pastor said intimacy is when you share without holding back because you do not worry about being judge. You are open and honest and you have no problem revealing your self to another. She said it is Into-Me-See.

And it's really true.

Does your hairstylist or barber know a lot about you and your relationship? Do you consider them a therapist? Do you consider them a friend? Do you confide in him or her? Do you have that same comfortability with your spouse or significant other?

Share your comments or e-mail me


  1. No not at all.
    I stopped going to my hairstylist because I was weary of hearing about her daughter's behavioral issues, her book, and her letters to members of the Ohio educational system. when I went back to her earliear this year, she picked right up.... Argh. I just want to read my book or crochet while she is doing my hair.

  2. Almost forgot
    Last time, I started talking about someone giving me the evil eye. I think that worked
